_Contents_
'''
--- P ---
16
Properties=species:S:1:pos:R:3 method="wB97M-V/def2-TZVPD" lumo_ev=-3.86 homo_lumo_gap_ev=10.37 charge=+1
C 0.606 -0.088 0.292
C -0.982 1.628 -0.326
C 0.500 1.429 -0.255
C -1.556 0.216 -0.633
C 1.601 -1.620 1.270
N 1.925 -2.623 0.693
N -0.569 -0.606 0.080
H -1.308 2.046 0.611
H -1.251 2.323 -1.118
H 1.011 1.212 -1.210
H 1.167 2.021 0.414
H -2.642 0.065 -0.429
H -1.474 -0.108 -1.603
H 1.758 -1.351 2.294
H 1.897 -2.973 -0.292
H -0.685 -1.571 0.212

***

--- Q ---
16
Properties=species:S:1:pos:R:3 method="wB97M-V/def2-TZVPD" lumo_ev="-4.79 / -4.79" homo_lumo_gap_ev="8.77 / 8.77" charge=+1
C 0.223 2.072 0.371
C -0.323 2.282 -0.808
C -1.658 -0.968 0.792
C -2.303 -0.873 -0.517
C 2.499 -1.138 0.211
N -1.330 0.098 0.112
N -0.349 0.865 -0.273
H 0.774 2.447 1.184
H -0.495 2.956 -1.697
H -1.402 -1.306 1.797
H 1.869 -1.366 -0.605
H -2.059 -1.409 -1.418
H -3.421 -0.600 -0.657
H 3.494 -1.468 0.075
H 2.495 -0.054 0.276
H 1.986 -1.539 1.155

***

--- R ---
16
Properties=species:S:1:pos:R:3 method="wB97M-V/def2-TZVPD" lumo_ev=-3.87 homo_lumo_gap_ev=11.54 charge=+1
C 1.031 1.108 0.684
C -0.122 0.783 1.484
C -0.077 0.610 -0.787
C -0.964 0.168 -1.805
C 0.440 -1.540 0.541
N 0.541 1.689 -0.525
N 0.255 -0.098 0.384
H 2.020 1.214 1.082
H -0.969 1.534 1.281
H -0.045 0.468 2.438
H -1.918 0.759 -1.660
H -1.031 -0.937 -1.796
H -0.606 0.363 -2.829
H -0.528 -2.128 0.427
H 1.076 -2.036 -0.306
H 0.897 -1.956 1.386

***

--- S ---
16
Properties=species:S:1:pos:R:3 method="wB97M-V/def2-TZVPD" smiles="CC1=N[C@@H]1[NH+]1CC1" lumo_ev=-3.03 homo_lumo_gap_ev=10.85 charge=+1
C 0.960 2.170 1.341
C 0.408 1.607 0.114
N -0.261 1.739 -0.952
C 0.270 0.369 -0.991
N -0.727 -0.686 -0.778
C -0.379 -2.093 -0.870
C -0.855 -1.515 0.384
H 0.242 2.896 1.732
H 2.072 2.559 1.391
H 1.072 1.268 1.997
H 0.975 -0.042 -1.754
H -1.610 -0.393 -1.155
H 0.730 -2.235 -0.965
H -1.065 -2.728 -1.378
H -1.821 -1.759 0.859
H -0.010 -1.157 1.023

***

Computed relative energies in units of hartree: P 0.0000; Q 0.1872; R 0.0272; S 0.0309

***

--- P ---
16
Properties=species:S:1:pos:R:3 method="wB97M-V/def2-TZVPD" smiles="C[C@H]1N=CC=[N+]1C" lumo_ev=-5.29 homo_lumo_gap_ev=10.59 charge=+1
C 0.437 -0.471 -1.730
C 0.365 -0.851 -0.212
N 1.595 -0.836 0.370
C 1.680 0.084 1.220
C 0.382 0.781 1.363
N -0.508 0.305 0.607
C -1.845 0.540 0.272
H 0.959 0.505 -1.817
H -0.580 -0.465 -2.071
H 0.929 -1.239 -2.301
H 0.127 -1.844 -0.213
H 2.637 0.216 1.794
H 0.372 1.632 2.114
H -2.515 -0.134 0.984
H -2.021 0.179 -0.785
H -2.016 1.597 0.407

***

--- Q ---
16
Properties=species:S:1:pos:R:3 method="wB97M-V/def2-TZVPD" smiles=CCc1c[nH]c[nH+]1 lumo_ev=-3.78 homo_lumo_gap_ev=9.91 charge=+1
C 0.561 -1.613 -1.728
C 0.845 -1.513 -0.276
C -0.011 -0.414 0.274
C -0.958 0.411 -0.516
N -0.905 1.608 0.095
C -0.152 1.596 1.292
N 0.435 0.355 1.323
H 0.868 -2.660 -1.955
H 1.092 -0.902 -2.369
H -0.570 -1.570 -1.940
H 1.992 -1.506 -0.212
H 0.570 -2.534 0.036
H -1.569 0.084 -1.371
H -1.611 2.349 -0.251
H -0.071 2.511 1.870
H 0.879 -0.312 1.977

***

Computed relative energies in units of hartree: P 0.0246; Q 0.0000

***

--- P ---
16
Properties=species:S:1:pos:R:3 method="wB97M-V/def2-TZVPD" lumo_ev=-5.42 homo_lumo_gap_ev=9.94 charge=+1
C -1.563 -0.109 -0.614
C 0.757 -1.013 -0.125
C -1.562 -0.705 0.691
C 0.575 0.428 0.540
C 1.279 1.650 -0.101
N -0.622 -1.365 -0.345
N -0.917 0.553 0.525
H -2.122 0.197 -1.551
H 1.273 -0.942 -1.139
H 1.310 -1.742 0.404
H -2.651 -1.129 2.087
H 0.842 0.506 1.609
H 0.665 2.074 -0.833
H 2.190 1.428 -0.741
H 1.424 2.387 0.615
H -0.877 -2.219 -1.021

***

--- Q ---
16
Properties=species:S:1:pos:R:3 method="wB97M-V/def2-TZVPD" smiles="C[C@@]1([NH3+])C=CC=N1" lumo_ev=-4.23 homo_lumo_gap_ev=10.17 charge=+1
C -0.964 0.215 1.181
C -0.033 -0.090 0.057
N -0.935 -0.457 -1.121
C 1.005 1.041 -0.232
C 2.203 0.463 -0.188
C 2.002 -0.991 0.070
N 0.781 -1.302 0.200
H -0.402 0.091 2.152
H -1.697 -0.610 1.314
H -1.358 1.201 1.222
H -0.459 -0.643 -1.960
H -1.722 0.182 -0.930
H -1.425 -1.350 -0.697
'''

_Job_
Duplicate the notes further up from the line with "-0.323 2.282" to the end with every line break kept, please.

_Here it is_
C -0.323 2.282 -0.808
C -1.658 -0.968 0.792
C -2.303 -0.873 -0.517
C 2.499 -1.138 0.211
N -1.330 0.098 0.112
N -0.349 0.865 -0.273
H 0.774 2.447 1.184
H -0.495 2.956 -1.697
H -1.402 -1.306 1.797
H 1.869 -1.366 -0.605
H -2.059 -1.409 -1.418
H -3.421 -0.600 -0.657
H 3.494 -1.468 0.075
H 2.495 -0.054 0.276
H 1.986 -1.539 1.155

***

--- R ---
16
Properties=species:S:1:pos:R:3 method="wB97M-V/def2-TZVPD" lumo_ev=-3.87 homo_lumo_gap_ev=11.54 charge=+1
C 1.031 1.108 0.684
C -0.122 0.783 1.484
C -0.077 0.610 -0.787
C -0.964 0.168 -1.805
C 0.440 -1.540 0.541
N 0.541 1.689 -0.525
N 0.255 -0.098 0.384
H 2.020 1.214 1.082
H -0.969 1.534 1.281
H -0.045 0.468 2.438
H -1.918 0.759 -1.660
H -1.031 -0.937 -1.796
H -0.606 0.363 -2.829
H -0.528 -2.128 0.427
H 1.076 -2.036 -0.306
H 0.897 -1.956 1.386

***

--- S ---
16
Properties=species:S:1:pos:R:3 method="wB97M-V/def2-TZVPD" smiles="CC1=N[C@@H]1[NH+]1CC1" lumo_ev=-3.03 homo_lumo_gap_ev=10.85 charge=+1
C 0.960 2.170 1.341
C 0.408 1.607 0.114
N -0.261 1.739 -0.952
C 0.270 0.369 -0.991
N -0.727 -0.686 -0.778
C -0.379 -2.093 -0.870
C -0.855 -1.515 0.384
H 0.242 2.896 1.732
H 2.072 2.559 1.391
H 1.072 1.268 1.997
H 0.975 -0.042 -1.754
H -1.610 -0.393 -1.155
H 0.730 -2.235 -0.965
H -1.065 -2.728 -1.378
H -1.821 -1.759 0.859
H -0.010 -1.157 1.023

***

Computed relative energies in units of hartree: P 0.0000; Q 0.1872; R 0.0272; S 0.0309

***

--- P ---
16
Properties=species:S:1:pos:R:3 method="wB97M-V/def2-TZVPD" smiles="C[C@H]1N=CC=[N+]1C" lumo_ev=-5.29 homo_lumo_gap_ev=10.59 charge=+1
C 0.437 -0.471 -1.730
C 0.365 -0.851 -0.212
N 1.595 -0.836 0.370
C 1.680 0.084 1.220
C 0.382 0.781 1.363
N -0.508 0.305 0.607
C -1.845 0.540 0.272
H 0.959 0.505 -1.817
H -0.580 -0.465 -2.071
H 0.929 -1.239 -2.301
H 0.127 -1.844 -0.213
H 2.637 0.216 1.794
H 0.372 1.632 2.114
H -2.515 -0.134 0.984
H -2.021 0.179 -0.785
H -2.016 1.597 0.407

***

--- Q ---
16
Properties=species:S:1:pos:R:3 method="wB97M-V/def2-TZVPD" smiles=CCc1c[nH]c[nH+]1 lumo_ev=-3.78 homo_lumo_gap_ev=9.91 charge=+1
C 0.561 -1.613 -1.728
C 0.845 -1.513 -0.276
C -0.011 -0.414 0.274
C -0.958 0.411 -0.516
N -0.905 1.608 0.095
C -0.152 1.596 1.292
N 0.435 0.355 1.323
H 0.868 -2.660 -1.955
H 1.092 -0.902 -2.369
H -0.570 -1.570 -1.940
H 1.992 -1.506 -0.212
H 0.570 -2.534 0.036
H -1.569 0.084 -1.371
H -1.611 2.349 -0.251
H -0.071 2.511 1.870
H 0.879 -0.312 1.977

***

Computed relative energies in units of hartree: P 0.0246; Q 0.0000

***

--- P ---
16
Properties=species:S:1:pos:R:3 method="wB97M-V/def2-TZVPD" lumo_ev=-5.42 homo_lumo_gap_ev=9.94 charge=+1
C -1.563 -0.109 -0.614
C 0.757 -1.013 -0.125
C -1.562 -0.705 0.691
C 0.575 0.428 0.540
C 1.279 1.650 -0.101
N -0.622 -1.365 -0.345
N -0.917 0.553 0.525
H -2.122 0.197 -1.551
H 1.273 -0.942 -1.139
H 1.310 -1.742 0.404
H -2.651 -1.129 2.087
H 0.842 0.506 1.609
H 0.665 2.074 -0.833
H 2.190 1.428 -0.741
H 1.424 2.387 0.615
H -0.877 -2.219 -1.021

***

--- Q ---
16
Properties=species:S:1:pos:R:3 method="wB97M-V/def2-TZVPD" smiles="C[C@@]1([NH3+])C=CC=N1" lumo_ev=-4.23 homo_lumo_gap_ev=10.17 charge=+1
C -0.964 0.215 1.181
C -0.033 -0.090 0.057
N -0.935 -0.457 -1.121
C 1.005 1.041 -0.232
C 2.203 0.463 -0.188
C 2.002 -0.991 0.070
N 0.781 -1.302 0.200
H -0.402 0.091 2.152
H -1.697 -0.610 1.314
H -1.358 1.201 1.222
H -0.459 -0.643 -1.960
H -1.722 0.182 -0.930
H -1.425 -1.350 -0.697